Sister Amabilis Lynch, MM
Born: May 9, 1907
Entered: October 14, 1928
Died: August 22, 1990
Good Morning and a special welcome to the members of Sister Amabilis’ family and to Maryknoll Father Edward Manning who join us for this Eucharistic celebration of the Resurrection.
On August 22 at 7:15 P.M. Sister Mary Amabilis Lynch died in the Maryknoll Nursing Home – quietly and peacefully as she did all things in life. After entering Maryknoll in 1928, she asked that she be given a religious name in honor of the Blessed Mother. None of her own three suggestions was chosen, but the choice that was made was extraordinarily apt and insightful. The latin title Amabilis means amiable and lovable, characterized by kindheartedness, being good-natured and obliging, all qualities that friends have used to describe Sister. It is fitting that Sister Amabilis should have gone to heaven on the feast of the Queenship of Mary.
Baptized Honora Veronica – but called Nora by the family – she was the third of four daughters born to Michael and Nora Dooley Lynch, on May 9, 1907. Her father was Irish by birth, but settled in Philadelphia where the Lynch family grew up.
Having finished the 8th grade she went on to study at Strayer’s Business College, then joined the work force for five years as clerk and typist. She was an exceptionally observant person and quick to learn – traits she showed throughout life as she was called to accomplish tasks for which she was not always professionally prepared but which she did well nevertheless.
At 21 years of age Nora was happy to leave her $17-dollar-a-week job and come to Maryknoll. She made first profession of vows on January 6, 1931 and Final Vows three years later on the same date. Combining cooking, office work and study at The Venard (Clarks Summit, PA.), the Motherhouse and Field Afar (Maryknoll Magazine), Sister Amabilis received her Certificate of High School Credit in 1934 and later studied part-time at the Pius X School of Liturgical Music.
Apart from 9 years on the West Coast and less than 5 at the Novitiate at Topsfield, Massachusetts, Sister’s 62 years of service to mission were spent here on Mary’s Knoll, at the Seminary, St. Teresa’s or the Sisters’ Center. Wherever she was she used her skills unobtrusively and with single-hearted dedication. In San Juan Capistrano Mission in California she found herself filling in, teaching a classroom full of 5th and 6th graders. That she turned out to be an excellent educator was a surprise to her and to others. A Sister writes in 1946: “You should see Sister Amabilis. She is a born teacher and has perfect discipline. Usually she is extremely quiet and not talkative at all, but is so animated about her class. It is a pity that her voice is so soft. But she writes all the directions on the board and it works well.” As the years went on she put her mind, heart and hands to bookkeeping, chauffeuring and general secretarial work, but the tasks for which she is most remembered and which she probably enjoyed most were those that involved her in monitoring construction and building renovations. She supervised such work in Monrovia in 1974, our Westminster house in St. Louis, 1975, and then took on her most challenging service to the Congregation: getting the fourth floor remodeled for our Nursing Facility. Admittedly, the appearance of this short, slight, elderly woman with the soft voice and determined walk seemed somewhat incongruous as she checked out the scaffold sites in her hard hat, but all the workers and consultants respected her greatly, not only for her knowledge and thoroughness but for her engaging style.
A good friend when asked about her impressions of Sister Amabilis commented: “If you had a need to know about something problematic she’d be frank, but if she knew it wasn’t going to help, she’d just smile and say ‘Put a seal on my lips.’” But she was always there to walk with you and search for a solution; always ready to see the job through and wrap up the small things that needed doing, always finding time to reach out to those who were lonely or ill. If she observed something and felt it was important she would share her objective facts with the persons who could do something about it and leave it in their hands. She rarely spoke of herself and seemed to carry within her a special peace that comes from a deep relationship with God. People remember her for that, and for quiet laughter, witty remarks, gentleness, unswerving loyalty and always being approachable.
## Misplaced molecular data
┌──
(1)
The following is a DFT calculation (the ωB97M-V functional and the def2-TZVPD basis) of a 2-piece molecular cluster, C5H7FIN4 overall at a distorted geometry.

```
18
Properties=species:S:1:pos:R:3:forces:R:3
C 1.67100 0.04131 -0.17908 -1.28 -2.90 -0.96
C 1.40776 -1.31112 -0.23279 -0.77 0.55 1.77
C 0.05602 -1.77070 -0.05586 -0.35 -1.52 -0.15
C -0.55529 0.37174 0.10232 -2.09 -0.49 -0.89
C 0.82071 2.34955 -0.10171 -1.23 0.87 -0.23
N -0.93713 -0.86374 0.05657 1.43 1.11 0.38
N 0.60958 0.91441 -0.17520 0.94 -0.96 1.49
N -0.23723 -3.09080 0.03359 2.76 1.09 -0.09
N -2.76498 1.79722 -0.11713 0.76 -0.23 -0.16
F 2.34124 -2.24328 0.02817 0.05 0.57 -0.79
I -3.89028 0.18651 -0.00797 -0.62 0.20 0.07
H 2.69404 0.25286 -0.21422 1.26 1.37 0.05
H 0.21481 2.83061 0.69434 0.64 -0.72 -0.06
H 1.89110 2.48400 0.04954 -0.28 0.61 -0.44
H 0.31439 2.71727 -1.00995 1.12 0.40 0.06
H 0.55056 -3.76422 0.18563 -1.31 0.91 -0.36
H -1.15741 -3.33025 0.28919 -1.05 -0.44 0.29
H -3.02891 2.42864 0.65456 0.04 -0.41 0.04
```
Positions in Å, forces in eV/Å.

For the frontier orbital gap (spin up / spin down), the calculation gives 7.419 / 7.917 eV. As for the charge: +1. The value obtained for the relative energy (zero: lowest compared OMol25 entry of this formula, charge and spin) is 112.8 kcal/mol.

Partial atomic charges computed with the Löwdin method, in multiples of e: number 1, C, carries 0.096; number 2, C, carries -0.147; number 3, C, carries -0.249; number 4, C, carries -0.078; number 5, C, carries 0.020; number 6, N, carries 0.105; number 7, N, carries -0.083; number 8, N, carries 0.221; number 9, N, carries -0.531; number 10, F, carries 0.106; number 11, I, carries 0.849; number 12, H, carries 0.145; number 13, H, carries 0.113; number 14, H, carries 0.106; number 15, H, carries 0.116; number 16, H, carries 0.160; number 17, H, carries 0.113; number 18, H, carries -0.063



(2)
The following is a DFT calculation (the ωB97M-V functional and the def2-TZVPD basis) of a 2-piece molecular cluster, C5H7FO overall at a distorted geometry.

```
14
Properties=species:S:1:pos:R:3:forces:R:3
C 1.90940 -2.18413 -0.72453 -0.22 -1.14 -0.84
C 0.69161 -2.41313 -0.30931 -0.28 3.20 0.94
C -0.32675 -0.10589 0.55292 0.48 -1.96 -0.69
C -0.23210 0.80717 -0.57101 -0.83 0.87 2.81
C -1.02911 2.06950 -0.80089 -1.48 1.21 1.10
O 0.78681 0.64149 0.47836 -0.13 0.78 0.51
F -0.10793 -3.41507 -0.26555 -0.38 -1.45 -0.21
H 2.58770 -2.78381 -1.31271 -0.21 -0.91 0.12
H 2.27482 -1.20884 -0.69970 0.23 1.76 0.58
H -0.97439 -0.28893 1.42239 0.48 0.34 -0.42
H 0.12159 0.40693 -1.43617 0.81 -1.25 -2.40
H -0.84065 2.28236 -1.81105 0.41 0.80 -1.47
H -0.92696 3.09967 -0.23519 0.15 -2.57 -0.58
H -2.12267 1.79195 -0.85293 0.97 0.31 0.55
```
Positions in Å, forces in eV/Å.

For the frontier orbital gap (spin up / spin down), the calculation gives 9.262 / 8.378 eV. The value obtained for the relative energy (zero: lowest compared OMol25 entry of this formula, charge and spin) is 141.3 kcal/mol.
└──
## End of the molecular data
Bouts with poor health over many years ultimately led to her admission to the Nursing Home in May 1986. There, in the special place that she had helped to create she was lovingly cared for by a devoted staff and visited by family and friends. In 1988 she celebrated her Diamond Jubilee along with several members of her entrance group.